Samuel Brace on whether VOD could save film by killing movies…
The mourning of film has been a long and arduous affair, a grieving process that has lasted quite some time.
The death of film has been put down to a number of things; immature audiences, a disinterested populace, asinine competition outside of the medium, and the rise of VOD. People frankly don’t care about film as much as they used to. They just don’t. It’s not important to the culture like it once was. With the rise of the internet, and the myriad forms of entertainment and distraction that has arrived with it, film – specifically the traditional ‘American movie’ — just can’t compete. And with on-demand services sucking away audiences from cinemas, providing them with an alternate, lazier option, folks are deciding to just stay at home.
The only time people will really venture away from their laptops and smart devices, is to go and watch a big blockbuster – which today is just essentially an effort by Disney. And even then, the number of those that would rather watch such a film at home as opposed to on the big screen would undoubtedly be very high indeed. With everything so accessible in 2017, with so much content able to be consumed at places like Netflix, iTunes, and Amazon, audiences are finding it easier and easier to make the decision to stay at home. And frankly, who can blame them? More often than not, what is on offer via your laptop is just as thrilling – if not more so – than anything the silver screen is hosting.
But is it really true? Is VOD actually killing film? Or is it in fact preserving it, providing a safe haven for the small and intricate dramas that have been cast aside by the world while simultaneously mounting the biggest significant offence against the brainless blockbuster movie? And there is a difference between films and movies; the former focused on nuance and character, and the latter with a sole purpose of providing fun escapism. But of course, there should be, in a perfect world, a place for them both to live and to succeed. And some films can of course do both, straddling that line between highbrow and its lower, sillier alternative — though it’s quite the rare breed that is able to do so.
Look at this way, many of the best films of today either get released straight to VOD, or have a near simultaneous theatrical release, while the only thing noticed or viewed at the cinema are the overblown, overwrought, remade, rebooted, pop culture vehicles; i.e. movies. Combined with the rise of television, which has transformed from throwaway escapism to adult and complex atmospheric drama; audiences now know that they can get their kicks at home. They know that they don’t need to venture out for the highest quality content. Between TV and film – or at least what has become of it – there is now a place that can not only compete with the Marvel and DCs of the world, but potentially land a coup de grace to the blockbuster format. The only problem is that it has to kill the cinema going experience to do so.
And while this all sounds rather morose, perhaps at this point it is a necessary evil. Movies are at their nadir, and theatres no longer provide the function they once did. These cathedrals to talking pictures only cater to one type of audience, and one type of entertainment. And of course the genuinely substantive and ambitious movies that exist will be sorely missed; this trend towards VOD seems to be the only way to preserve the smaller scale experiences that have brought so much joy to so many people. The irony is that if VOD wasn’t around, if the internet never existed, this problem wouldn’t be present in the first place, and films would still be watched on a large scale at cinemas. But because it does, it has in fact become the last protector of the experience. On-demand services are film’s last stand.
Can cinemas survive with just nonsensical action escapism and Disney animations? Perhaps, but there is no doubt VOD and online streaming are sucking up audiences, and that they will win the battle eventually. And once they do, when sadly the time comes that we no longer funnel into lavish palaces with a group of strangers to consume motion pictures, will these goliath movies be able to survive? Don’t be so sure about that. The world of on-demand entertainment is so massive, but at the same time so incredibly small. Many of us are now watching our content on laptops, tablets, and even phones. Will this smaller window with which to view the biggest movies force them to shrink down? And will the further increase in folks just watching a plethora of YouTube videos suck away the money afforded to such mammoth experiences? The answer is probably yes.
It’s truly a bitter sweet type of deal. On one hand, there is nothing like experiencing an incredible film at the cinema; it provides a feeling that the couch and laptop combination just can’t match. Though, if TV and on-demand film services are where the substance is, if this is where adults can indulge in the highest quality entertainment with the world’s best actors – which is more and more the case – perhaps instead of something we mourn, it should be something we just accept.
VOD isn’t killing film, but it is hurting movies. And while cinema will likely never reach the high point in our culture that it once did, such as back in the 70’s, it at least has a space with which to survive. The perfect world would offer us more than this; the perfect world would allow us all options. But the perfect world doesn’t exist, the utopia isn’t possible. It never will be. Life is what it is, and this is what we’ve got. The truth is that there’s a bevy of high quality drama merely a few clicks away, so perhaps the death of movies is something that just has to happen. And like it or not, VOD will probably be the culprit.
## Molecular data from another source follow
'''
{"formula": "C21H44MnN3OP2", "method": "the ωB97M-V functional and the def2-TZVPD basis", "gap_ev": [6.51, 7.60], "s2": 6.088, "max_force_ev_per_a": 10.228, "total_energy_ev": -78891.6344, "spin_multiplicity": 5, "total_charge": 2, "e_lumo_ev": [-6.56, -7.68], "elements": ["Mn", "P", "P", "N", "C", "H", "H", "C", "H", "H", "C", "H", "H", "C", "H", "H", "C", "C", "H", "H", "H", "C", "C", "H", "H", "H", "C", "C", "H", "H", "H", "C", "C", "H", "H", "H", "C", "C", "H", "H", "H", "C", "H", "H", "H", "C", "H", "H", "H", "C", "H", "H", "H", "H", "H", "H", "H", "O", "H", "H", "C", "C", "N", "C", "C", "N", "H", "H", "H", "H", "H", "H"], "positions_angstrom": [[-0.159, 0.112, -0.142], [-0.116, -1.845, -1.370], [-0.003, 2.384, 0.522], [1.157, 0.777, -1.716], [1.435, -1.630, -2.352], [2.159, -2.405, -2.052], [1.206, -1.812, -3.416], [2.104, -0.259, -2.214], [2.960, -0.303, -1.515], [2.517, 0.077, -3.187], [1.751, 2.164, -1.649], [1.215, 2.791, -2.387], [2.800, 2.102, -1.974], [1.648, 2.740, -0.244], [1.820, 3.823, -0.288], [2.425, 2.311, 0.411], [0.140, 3.093, 2.257], [0.471, 1.986, 3.255], [1.482, 1.598, 3.089], [-0.240, 1.151, 3.189], [0.428, 2.366, 4.286], [-1.037, 3.578, -0.459], [-2.530, 3.457, -0.132], [-3.110, 3.633, -1.050], [-2.841, 4.218, 0.597], [-2.828, 2.469, 0.244], [-1.450, -2.179, -2.640], [-2.735, -2.751, -2.032], [-3.538, -2.662, -2.780], [-3.077, -2.223, -1.132], [-2.628, -3.822, -1.808], [0.109, -3.406, -0.363], [-1.066, -3.631, 0.594], [-0.712, -4.165, 1.488], [-1.856, -4.243, 0.133], [-1.526, -2.690, 0.939], [-1.820, 0.001, 0.509], [-0.502, 5.013, -0.315], [0.332, 5.119, 0.394], [-0.142, 5.375, -1.286], [-1.300, 5.698, 0.003], [-1.001, -3.023, -3.850], [-1.795, -3.733, -4.128], [-0.807, -2.388, -4.727], [-0.096, -3.613, -3.658], [0.431, -4.655, -1.183], [0.661, -5.477, -0.489], [-0.419, -4.981, -1.796], [1.312, -4.523, -1.823], [-1.047, 3.923, 2.763], [-1.992, 3.363, 2.726], [-0.859, 4.181, 3.816], [-1.172, 4.873, 2.231], [1.020, 3.756, 2.178], [1.000, -3.166, 0.243], [-0.888, 3.249, -1.502], [-1.671, -1.162, -3.000], [-2.814, -0.143, 1.131], [0.360, 0.823, -2.371], [-1.228, 0.496, -1.285], [-0.230, -1.693, 3.235], [1.017, -1.327, 2.546], [1.235, -0.657, 1.411], [2.631, -0.511, 1.311], [3.217, -1.148, 2.356], [2.182, -1.662, 3.121], [-0.198, -1.320, 4.270], [-0.306, -2.787, 3.276], [-1.093, -1.267, 2.713], [3.094, 0.030, 0.497], [4.254, -1.267, 2.605], [2.257, -2.202, 3.977]]}
'''
Samuel Brace